How to Delete Instagram Search Suggestions
When you are looking to unfollow or delete an Instagram account, you might be wondering how to delete instagram search suggestions. Basically, you can do it by reinstalling the app or clearing your history. But what if you want to clear only specific username suggestions? If you’re on Android, you can also do it manually. Follow the instructions below to unfollow a particular account or delete its search suggestions.
Reinstalling Instagram to delete instagram search suggestions
There are several ways to clear your search history and remove specific username suggestions in Instagram. While you can clear your history and delete search suggestions from the app, you may have difficulty deleting search user profiles on Android. Read also : What Instagram Hashtags Get the Most Followers?. To remove search user profiles, you may have to uninstall the app and reinstall it. Once the uninstall process is complete, you can log in to your account again and repeat the process to remove search suggestions.
If these steps do not work, try reinstalling the app from the App Store or Google Play. Then, log in with your username and password. Re-installing the app will clear any temporary files that may be associated with your current session. It may also help to reinstall the app and restart it. Those steps should solve your search suggestions issue. However, if the problem still persists, you may want to try clearing your cache and data and then reinstalling the app.
Clearing your search history
In order to protect your privacy, you should clear your Instagram search history from time to time. This information might be revealing to others, so many people prefer to keep their search history private. While you may not be trying to hide anything, you might just want to get rid of accounts that you no longer follow. To see also : How to Delete Instagram Account Without Password. In either case, clearing your history will help you begin again from scratch. If you’re curious how to clear your Instagram search history, read on.
Once you’ve cleared your Instagram search history, you can also delete any specific profiles and hashtags from your list. Instagram also gives you an option to delete all search history, but you can also choose to remove certain search suggestions. By selecting the option to clear your history, you’ll be able to erase any and all search history related to specific accounts. After deleting your search history, you’ll be able to browse the web with ease and find content that you’d never have come across otherwise.
What comes next are crystal structures, not part of the text
____________
# PrGa4Pd8
Computed X-ray diffraction stick pattern, Cu Kα, 1.54184 Å. Input: the PBE geometry in Alexandria.

Peak list (12 most intense, 5° ≤ 2θ ≤ 70°, low angle first)
d/Å  2θ/deg  Rel. int.  (hkl)
2.818  31.75  9  3 1 0
2.695  33.25  33  0 0 2
2.601  34.48  50  3 0 1
2.306  39.06  54  2 0 2
2.247  40.14  100  3 2 1
2.228  40.49  61  4 0 0
2.048  44.23  65  2 2 2
2.006  45.20  22  4 1 1
1.993  45.52  18  4 2 0
1.537  60.20  10  3 0 3
1.453  64.08  25  3 2 3
1.347  69.80  21  0 0 4

Crystal structure
```
data_PrGa4Pd8
_symmetry_space_group_name_H-M 'I 4/m m m'
_symmetry_Int_Tables_number 139
_symmetry_space_group_name_Hall '-I 4 2'
_cell_length_a 8.911
_cell_length_b 8.911
_cell_length_c 5.390
_cell_angle_alpha 90.00
_cell_angle_beta 90.00
_cell_angle_gamma 90.00
loop_
_atom_site_label
_atom_site_type_symbol
_atom_site_fract_x
_atom_site_fract_y
_atom_site_fract_z
_atom_site_occupancy
Pr1 Pr 0.000 0.000 0.000 1
Ga1 Ga 0.250 0.250 0.250 1
Pd1 Pd 0.000 0.224 0.500 1
Pd2 Pd 0.000 0.340 0.000 1
```

* * * * *

# SmMg5Sb4
Theoretical powder diffractogram, Cu Kα. Input: the PBE geometry in the Materials Project.
Kinematic intensities with the Lorentz-polarization factor, no thermal factor.

The 6 most intense peaks (2θ = 10–90°), by angle:
25.16 deg, I 100; 33.04 deg, I 64; 38.54 deg, I 61; 43.38 deg, I 35; 46.59 deg, I 19; 51.65 deg, I 18

abc: 4.6716 4.6716 14.6082
angles: 90.00 90.00 120.00
Atoms (fractional coordinates):
Sm (0.0000, 0.0000, 0.0000)
Mg (0.0000, 0.0000, 0.5000)
Mg (0.3333, 0.6667, 0.3281)
Mg (0.3333, 0.6667, 0.8087)
Mg (0.6667, 0.3333, 0.1913)
Mg (0.6667, 0.3333, 0.6719)
Sb (0.3333, 0.6667, 0.1242)
Sb (0.3333, 0.6667, 0.6100)
Sb (0.6667, 0.3333, 0.3900)
Sb (0.6667, 0.3333, 0.8758)


# Zn2GeS3
Theoretical powder diffractogram, Cu Kα. Input: the PBE geometry in the Materials Project.
Kinematic intensities with the Lorentz-polarization factor, no thermal factor.

The 6 most intense peaks (2θ = 10–90°), by angle:
25.37 deg, I 39; 28.02 deg, I 100; 31.72 deg, I 19; 43.77 deg, I 43; 47.11 deg, I 40; 54.26 deg, I 27

abc: 3.8580 3.8580 10.5329
angles: 90.00 90.00 120.00
Atoms (fractional coordinates):
Zn (0.0000, 0.0000, 0.0000)
Zn (0.3333, 0.6667, 0.7033)
Ge (0.6667, 0.3333, 0.3518)
S (0.0000, 0.0000, 0.2329)
S (0.3333, 0.6667, 0.9363)
S (0.6667, 0.3333, 0.6365)


# LuTlS2
Theoretical powder diffractogram, Cu Kα. Input: the PBE geometry in the Materials Project.
Kinematic intensities with the Lorentz-polarization factor, no thermal factor.

The 6 most intense peaks (2θ = 10–90°), by angle:
23.64 deg, I 34; 27.22 deg, I 66; 30.54 deg, I 100; 41.46 deg, I 39; 45.91 deg, I 33; 48.30 deg, I 26

abc: 3.9536 3.9536 22.5819
angles: 90.00 90.00 120.00
Atoms (fractional coordinates):
Lu (0.0000, 0.0000, 0.0000)
Lu (0.3333, 0.6667, 0.6667)
Lu (0.6667, 0.3333, 0.3333)
Tl (0.0000, 0.0000, 0.5000)
Tl (0.3333, 0.6667, 0.1667)
Tl (0.6667, 0.3333, 0.8333)
S (0.0000, 0.0000, 0.2689)
S (0.0000, 0.0000, 0.7311)
S (0.3333, 0.6667, 0.3978)
____________
Turning off search suggestions
You might wonder how to turn off Instagram search suggestions. Well, it’s simple – you can clear your search history in the app’s settings. If you’re an iPhone user, you can do this by going into the Settings app, and selecting “Privacy. See the article : Can Someone See If I Accidentally Liked Something on Instagram?.” This will remove all searches from your Recent list. If you’re on a PC or Mac, you can also clear your cache. However, the best way to remove all search suggestions is to log out of your account.
Luckily, Instagram does not have a “turn off” setting. However, you can remove search suggestions on an individual basis. If you don’t want the app to remember your searches, try clearing your app’s cache and reinstalling or updating the app. Otherwise, try deleting your saved searches by swiping left. If that doesn’t work, you can also block specific accounts, which will prevent Instagram from making recommendations based on your previous search history.
Turning off search suggestions on your iPhone
If you’re tired of seeing suggestions for your Instagram photos and videos, you can turn off the feature on your iPhone. You can also delete suggested accounts. This will stop Instagram from suggesting searches for your own profile or for other users’. Be sure to restart the app after you’ve deleted an account to remove the search. This method will prevent new search suggestions from appearing, but it will not stop existing ones.
To turn off Instagram search suggestions on your iPhone, first log in to your account with your appropriate credentials. Then, click on the hamburger icon located at the top-left corner of your screen. Click on the “options” section. Scroll down to the “Search Suggestions” option. Choose the option and confirm. Your account will no longer appear on suggestions. However, you can restore the old settings of suggested searches.